“On it, Drake, did you hear that?” Slate asked.
“Loud and clear. We’ll search the neighbourhood,” Drake replied from somewhere behind him.
“Listen, dude, I’m a state trooper. You’re holding a cop hostage,” Lewis said to Slate.
“Do you think I look bothered, asshole?” Slate retorted.
“Jaelynn is ill! For fuck’s sake!” Lacey cried.
## Attached: data records
1.
12
Lattice="7.033 0.032 -0.009 0.095 6.668 -0.011 0.003 0.003 8.918" Properties=species:S:1:pos:R:3 comment="RbCd2BiBr8 PBE relaxed" crystal_system=triclinic vol_a3_per_atom=34.85 total_magnetization_mub_per_cell=0.0 spacegroup="No. 2" total_energy_ev_per_fu=-30.73 e_form_raw_ev_per_atom=-0.8889 pbc="T T T"
Br 1.256 4.906 1.952
Br 5.880 1.801 1.954
Br 1.251 4.902 6.944
Br 4.695 4.963 -0.012
Br 2.774 1.799 4.447
Br 2.436 1.741 8.910
Br 4.356 4.905 4.450
Br 5.875 1.797 6.945
Cd 3.563 3.351 6.652
Cd 3.567 3.352 2.245
Bi 0.000 0.000 0.000
Rb 0.001 0.002 4.459



2.
10
Lattice="7.128 0.000 0.000 0.000 5.785 0.000 0.000 0.000 8.008" Properties=species:S:1:pos:R:3 comment="CsRbNiSe2 PBE relaxed" crystal_system=orthorhombic vol_a3_per_atom=33.02 total_magnetization_mub_per_cell=0.0 spacegroup="No. 51" total_energy_ev_per_fu=-18.07 e_form_raw_ev_per_atom=-0.7007 pbc="T T T"
Cs 5.587 4.339 4.004
Cs 1.542 1.446 4.004
Se 6.065 1.446 6.416
Se 1.063 4.339 6.416
Se 6.065 1.446 1.592
Se 1.063 4.339 1.592
Ni 0.000 2.892 0.000
Ni 0.000 0.000 0.000
Rb 2.740 1.446 0.000
Rb 4.389 4.339 0.000



3.
10
Lattice="3.657 0.000 0.000 0.000 3.657 0.000 0.000 0.000 17.450" Properties=species:S:1:pos:R:3 comment="NaLi5Pb4 PBE relaxed" crystal_system=tetragonal vol_a3_per_atom=23.34 total_magnetization_mub_per_cell=0.0 ef_kj_per_mol_fu=-216.0 spacegroup="No. 123" total_energy_ev_per_fu=-27.96 pbc="T T T"
Na 0.000 0.000 0.000
Pb 0.000 0.000 13.871
Pb 0.000 0.000 6.993
Pb 0.000 0.000 3.579
Pb 0.000 0.000 10.457
Li 1.829 1.829 8.725
Li 1.829 1.829 15.301
Li 1.829 1.829 5.329
Li 1.829 1.829 12.121
Li 1.829 1.829 2.149



4.
14
Lattice="-3.224 2.176 -1.889 -5.887 0.639 5.834 0.331 7.632 3.276" Properties=species:S:1:pos:R:3 comment="Ca3Zn8Ga3 PBE relaxed" crystal_system=orthorhombic vol_a3_per_atom=19.16 total_magnetization_mub_per_cell=0.0 ef_kj_per_mol_fu=-380.5 spacegroup="No. 71" total_energy_ev_per_fu=-29.22 pbc="T T T"
Zn -2.344 6.343 1.407
Zn -5.804 2.451 2.830
Zn -3.221 2.180 3.059
Zn -1.556 4.054 2.374
Zn -7.225 6.393 4.846
Zn -5.559 8.266 4.161
Zn -2.976 7.996 4.390
Zn -6.437 4.104 5.813
Ga -1.612 1.088 -0.945
Ga -1.013 6.121 3.829
Ga -4.544 2.150 5.281
Ca -3.669 3.338 0.208
Ca -5.112 7.109 7.012
Ca -4.390 5.223 3.610



What did the second record say?
10
Lattice="7.128 0.000 0.000 0.000 5.785 0.000 0.000 0.000 8.008" Properties=species:S:1:pos:R:3 comment="CsRbNiSe2 PBE relaxed" crystal_system=orthorhombic vol_a3_per_atom=33.02 total_magnetization_mub_per_cell=0.0 spacegroup="No. 51" total_energy_ev_per_fu=-18.07 e_form_raw_ev_per_atom=-0.7007 pbc="T T T"
Cs 5.587 4.339 4.004
Cs 1.542 1.446 4.004
Se 6.065 1.446 6.416
Se 1.063 4.339 6.416
Se 6.065 1.446 1.592
Se 1.063 4.339 1.592
Ni 0.000 2.892 0.000
Ni 0.000 0.000 0.000
Rb 2.740 1.446 0.000
Rb 4.389 4.339 0.000
## End of the data records
“No, she’s not! Because we had two doctors and a therapist check her over. There’s nothing wrong with Jaelynn,” Slate replied.
“Is that what she is telling you?” Lewis asked.
“We’ve also the medical records and police reports that were buried that prove domestic violence. There’s a warrant out for that motherfucker’s arrest,” Slate continued.
“Actually, there’re now two, and Damien’s been handed over to the Feds. Howser called Willow, and she’s taken the case. Keep your hands up where I can see them. I’m Detective Antonio Ramirez, and this is my partner, Eric Benjamin. Detective Benjamin is going to pat you down and cuff you,” Ramirez announced, appearing from around the side of the house with his own weapon drawn.
“Look. This is getting out of hand. We came here to take Jaelynn home. Damien hoped she’d trust us because we’re friends,” Lewis said.
“You call yourself friends when you believed Damien over her?” Slate sneered. “The asshole manipulated everyone around him. The truth is out: he tortured and abused Jaelynn.”
“Jaelynn…” Lacey exclaimed.
“Keep your damn hands up,” Ramirez snapped as Lewis began to lower them.
Lewis put them back up, and Ben patted him down, removed a handgun, which he handed to Slate, and then cuffed Lewis. Lewis was starting to get angry.
“Jaelynn, stop this bullshit now!” he spat.
“Shut the fuck up,” I retorted and sat down once Lacey was arrested.
“What’re the charges?” Lewis snapped.
“Trespassing, aiding and abetting, and hiding a criminal for a start,” Ben replied.
**Misplaced calculated crystals:**
+++
Entry 1:
This record from Alexandria via LeMat-Bulk describes a geometry-optimized La4Tb2NdMg structure. The functional is GGA-PBE.

Summary:
space group = Pmmm
energy = -4.3726 eV per atom
formation energy = 44 meV/atom

Unit cell a=5.898 b=5.903 c=9.838 alpha=53.13 beta=90.00 gamma=90.01
Element x y z (fractional)
La: 0.500 0.766 0.234
La: 0.000 0.268 0.232
Mg: 0.500 0.500 0.000
Tb: 0.000 0.000 0.000
La: 0.500 0.234 0.766
Tb: 0.500 0.000 0.500
Nd: 0.000 0.500 0.500
La: 0.000 0.732 0.768

=====

Entry 2:
This record from Alexandria via LeMat-Bulk describes a geometry-optimized YZrRe2 structure. The functional is GGA-PBE.

Summary:
space group = C2/m
energy = -9.5325 eV per atom
formation energy = 445 meV/atom
energy above the lowest structure with this stoichiometry = 0.440 eV/atom

Unit cell a=4.669 b=4.669 c=5.888 alpha=81.76 beta=81.76 gamma=39.51
Element x y z (fractional)
Zr: 0.250 0.250 0.250
Re: 0.994 0.994 0.047
Re: 0.506 0.506 0.453
Y: 0.750 0.750 0.750

=====

Entry 3:
This record from Alexandria via LeMat-Bulk describes a geometry-optimized PuBe2Ir structure. The functional is GGA-PBE.

Summary:
space group = P4/mmm
energy = -7.9658 eV per atom
formation energy = -305 meV/atom
energy above the lowest structure with this stoichiometry = 0.000 eV/atom

Unit cell a=2.878 b=2.878 c=6.717 alpha=90.00 beta=90.00 gamma=90.00
Last column: magnetic moment on the atom in μB.
Element x y z (fractional)
Be: 0.000 0.000 0.825  -0.03
Pu: 0.500 0.500 0.500  5.10
Be: 0.000 0.000 0.175  -0.03
Ir: 0.500 0.500 0.000  0.03

=====

Entry 4:
This record from Alexandria via LeMat-Bulk describes a geometry-optimized Pm6Ge2Te3I structure. The functional is GGA-PBE.

Summary:
space group = C2/m
energy = -5.2853 eV per atom
raw formation energy = -1.226 eV per atom

Unit cell a=4.371 b=8.947 c=9.894 alpha=102.52 beta=102.76 gamma=90.00
Element x y z (fractional)
Pm: 0.983 0.726 0.967
I: 0.500 0.000 0.000
Te: 0.158 0.837 0.315
Te: 0.842 0.163 0.685
Pm: 0.327 0.430 0.654
Pm: 0.017 0.274 0.033
Pm: 0.677 0.119 0.353
Ge: 0.170 0.336 0.339
Pm: 0.323 0.881 0.647
Ge: 0.830 0.664 0.661
Te: 0.500 0.500 0.000
Pm: 0.673 0.570 0.346

=====

Entry 5:
This record from Alexandria via LeMat-Bulk describes a geometry-optimized Ba4BiAsCl2 structure. The functional is GGA-PBE.

Summary:
space group = P2/m
energy = -4.0762 eV per atom
raw formation energy = -1.587 eV per atom

Unit cell a=4.895 b=8.216 c=8.533 alpha=69.62 beta=90.00 gamma=90.00
Element x y z (fractional)
Ba: 0.500 0.733 0.266
Bi: 0.500 0.500 0.000
Ba: 0.000 0.737 0.740
As: 0.000 0.500 0.500
Cl: 0.500 0.000 0.500
Ba: 0.500 0.267 0.734
Cl: 0.000 0.000 0.000
Ba: 0.000 0.263 0.260

=====

Entry 6:
This record from Alexandria via LeMat-Bulk describes a geometry-optimized NdYHoHg structure. The functional is GGA-PBE.

Summary:
space group = F-43m
energy = -4.0929 eV per atom
formation energy = -65 meV/atom
energy above the lowest structure with this stoichiometry = 0.174 eV/atom
+++
“Who?” Lacey cried.
“Damien Barclay and Wade Winslow. If you know where they are, you better say,” Ben ordered as Ramirez spoke into a radio.
“They’re not criminals! They are good men,” Lewis bellowed.
“That have so far been implicated in four murders,” Ramirez snapped.
“What?” Lacey gasped.
“Remember that whore Lucy Rogers? The one Damien was having an affair with… oh yeah, Lewis, the one you said was all in my head? She’s dead. Lucy’s body was dumped here,” I interrupted.
“What the fuck. No… you’re mistaken,” Lewis exclaimed, paling.
“No, dude. You are. You fuckin’ trusted a guy you barely knew over your good friend. He beat Jaelynn black and blue. Damien gaslit her and lied to everyone about her supposed illness. Did anyone bother to check to see if she’d actually been diagnosed with Munchausen?
“When a doctor tried to get help, he was threatened until he left the state. We have evidence. And now Barclay and Winslow are implicated in four local murders. The FBI has taken the case because Lucy Rogers had been dead for five days before they dumped her here. Which means she was transported across state lines,” Ramirez said.
“And no, Jaelynn didn’t kill her and set Damien up. Because we have a very solid alibi for her. Barclay and Winslow lied about Jaelynn and everything else, and now their house of cards is crumbling. The Feds have even taken over Jaelynn’s case, and IA is about to crawl all over your asses. Fuckin’ assholes,” Ben hissed. “Nothing I hate more than a dirty cop!”
“Jaelynn, is this true?” Lewis gasped, looking at me.
“Don’t talk to her,” Slate ordered.